Welfare chauvinism as right-wing populist polarization
AN Original - UNPOP Series
By Luca Mangiacotti

The 2013 Italian elections represented a shift in the national party politics equilibrium. The parties distribution that characterized the so-called “second republic” was mainly a bipolar structure of centre-right and centre-left coalitions (between 1992 and 2013). With the positive result obtained by the Movimento 5 Stelle (M5S) in the political election of 2013, which declared itself post-ideological and was identified as a populist force, a third pole was added and the rearrangement of forces was a consequence. The large vote share obtained in the political election of 2018 by the two major populist parties, M5S and Lega – reaching 50% – outlined the possibility to create a government with a strong focus on welfare chauvinism. This is because both parties focused on the anti-austerity measures and exclusionary attitudes towards minorities and migrants.

The 2018 elections were mainly connoted by a sentiment of rage against migrants and previous governments politicians, leading to a populist anti-system alliance that represents the vote in the whole national territory in a disparate way – with large representativeness of Lega in the north and of M5S in the south. The elections led to the formation of the yellow-green government (known as Conte 1) headed by Giuseppe Conte, a coalition between M5S and Lega. The reconfiguration of the welfare system was one of the keystones of the government action, which produced various policies. Each of the two parties focused on the respective myths to achieve key programmatic goals - engendering a sort of ‘win-win’ situation. These included the introduction of Italy’s first universal social assistance measure, the so-called ‘citizenship income’ and the so-called ‘dignity decree’, partly re-regulating temporary employment – promoted by M5S –; the ‘security decrees’ and laws for family’s economic assistance – promoted by Lega –; and pensions reform, a major issue for both parties. The security decree has had several consequences on immigrants’ access to welfare and migrants regularization. This, combined with the current immigration laws, led to a consequent silent enclosure of welfare and affected the possibility to enter Italy and Europe.

The policies of the Conte I government responded to a shared necessity to pass from a phase of prolonged austerity to a new phase characterised by more expansive welfare measures, limited to entitled citizens. The electoral campaign slogan by the Lega Prima gli Italiani – Italians first, resumes well the welfare chauvinism, which considers that the “welfare state [becomes] a system of social protection for those who belong to the ethnically defined community and who have constituted for it”.

The party policy programme reflects the social segmentation of Lega’s electorate. The party started its transformation from regional to national party after the electoral debacle of 2013 – which was partially due to judiciary and corruption scandals of the former leadership, which led to the election of Salvini as Secretary-General. The rhetoric and ideological party transformation from a northern-Italians centred party to a nationalist party led to the construction of a new outgroup and a larger, national, ingroup – formed by autonomous workers, small entrepreneurs, housewives, white-collars; low educated voters; and voters located mainly in cities’ peripheries, and small-medium cities.

To appeal to such an electorate, welfare comes to be characterized as a resource that must be privatized in certain sectors – as the public health system, following Lombardy’s model – and to be restricted for a public of people who produce the nation’s wealth and identified along lines of citizenship. The base of the discourse is the assumption of resources scarcity and deprivation from free-riders – identified in unemployed people and migrants. One of the keys to reading this phenomenon is the combination of rising quotes of migrants and decreasing GDP, especially in the political attitude of the losers of globalisation who introject ontological insecurity of life conditions - like precarious work conditions and low salaries.

This ‘welfare chauvinistic’ turn in Lega’s stance became even more clear after the collapse of the Conte I government in 2019 when Lega passed into opposition seats. A new government alliance was created with the involvement of the centre-left parties and M5S, maintaining the same Prime Minister, giving birth to the ‘Conte II’ cabinet. Lega and M5S joined again in the same government under Prime Minister Mario Draghi in 2021, however, their ideological position drifted apart.

Since the rupture with the Lega, the M5S has attempted to consolidate as a Centre-left party leaving to the Lega the welfare chauvinist approach. The Lega has developed a common discursive and ideological platform with far-right Fratelli d’Italia (FDI). From the opposition, both Lega and FDI engaged in the same ingroup construction, putting pressure on policies in favour of the “Italian people” - defined through a dichotomy counterpoising the ‘deserving’ productive Italians to the undeserving others.

The rhetorical operation involves different social actors. There is a huge focus on policies able to facilitate entrepreneurs of the “Made in Italy” with a lower taxation regime. They are described as heroes who dare to produce wealth in the nation despite the industrial depression – particularly after the eurozone crisis of 2008 – to restore the Italian economic grandeur of past times. In this regard, the emotion of nostalgia constitutes the subtext of the rhetorical strategy enacted by both parties.

The imagined community of the country in the imaginary of the Lega and FDI consists of national ethnic homogeneity, family-owned industries, a competitive artisan sector, and families with high nativity rates. The construction of this imagined in-group entails attacking a part of the ethnic ingroup with the presumption that it detracts from and obstacles the common economic effort to re-establish the country’s lost grandeur: the recipients of the ‘Citizenship income’. Those people are accused of laxity, benefiting from welfare policies to not work, enforcing the common sense of citizenship income recipients as slackers. This can be read as a rhetorical strategy to consolidate an image of ‘productive’, deserving Italian people, and to attack part of the M5S’ electoral base. The citizenship income is indeed perceived and represented in the right-wing discourse as a policy helping unemployed people living in the centre-south of Italy, thus reinforcing the stereotype of the southerners as welfare parasites, and recovering Lega’s original ‘Northern-centric’ ideology and discourse of the pre-Salvini period.

Moreover, the outgroup of migrants and strong powers – international institutions, banks, finance, and transnational companies – lives inside and outside the nation’s borders. The emotion of insecurity enforces rage in the differential treatment discourse’s frame: allegedly only Italy has to follow long-run austerity policies, only Italians must follow the rules. Empathy is a sentiment deserved only for brothers and sisters inside the imagined community: the narrative emphasized the lack of protection of Italians as a differential treatment enacted by centre-left parties and supranational institutions, seen as cosmopolitan forces at work against the needs of the nation.

As I write in February 2022, the two parties assume a similar discourse, but Lega is part of the government majority within Mario Draghi’s government. While Lega decided to support the national coalition government – because of the pact between the internal factions, Salvini’s followers, Giorgetti’s wing, and the group led by local and regional governors –, FDI remained in the opposition banks. Their current strategy appears to be following the centre-right imperative ‘march divided, strike united’: they share the same ingroup, but FDI has a presumption of pureness – because of the non-involvement in Draghi’s government, characterised by spurious alliances – and a major nationalistic identity, heritage of the Italian Social Movement and National Alliance. For a few months already opinion polls have indicated that Lega and FDI together sum up around 40% of the electorate, which is close enough to the percentage of vote share by M5S and Lega at the last elections. This may indicate that the new polarization of the Italian political system divides welfare chauvinists from the rest.

Next to the article, the page also holds records of molecules >
(1)
{
  "formula": "C20H50N2O8S4",
  "method": "ωB97M-V/def2-TZVPD",
  "spin_multiplicity": 2,
  "fmax_ha_per_bohr": 0.0604,
  "e_lumo_ha": [0.076, 0.075],
  "e_tot_ev": -84243.444,
  "s_squared": 0.75,
  "total_charge": -1,
  "elements": ["C", "O", "H", "H", "H", "H", "C", "O", "H", "H", "H", "H", "C", "O", "H", "H", "H", "H", "C", "O", "H", "H", "H", "H", "N", "C", "C", "C", "C", "H", "H", "H", "H", "H", "N", "C", "C", "C", "C", "H", "H", "H", "H", "H", "C", "S", "O", "C", "H", "H", "H", "H", "H", "H", "C", "S", "O", "C", "H", "H", "H", "H", "H", "H", "C", "S", "O", "C", "H", "H", "H", "H", "H", "H", "C", "S", "O", "C", "H", "H", "H", "H", "H", "H"],
  "xyz": [[-1.674, -0.481, -3.378], [-0.726, -0.090, -2.331], [-2.568, -0.962, -2.982], [-1.991, 0.474, -3.797], [-1.369, -1.179, -4.158], [0.069, 0.095, -2.836], [0.136, 1.313, 0.654], [-0.129, -0.088, 0.607], [0.950, 1.493, 1.356], [0.259, 1.861, -0.280], [-0.648, 1.760, 1.265], [-0.234, -0.384, -0.300], [-0.655, -0.819, 4.055], [0.386, 0.045, 3.729], [-0.518, -1.828, 3.666], [-0.606, -0.923, 5.139], [-1.565, -0.337, 3.697], [0.256, 0.210, 2.793], [-4.130, 2.186, -0.023], [-5.193, 2.270, -0.948], [-4.009, 3.129, 0.509], [-4.460, 1.509, 0.766], [-3.164, 1.690, -0.117], [-4.780, 2.632, -1.736], [5.576, 1.769, 1.371], [6.083, 1.880, 2.643], [5.032, 1.702, 3.592], [3.882, 1.640, 2.849], [4.219, 1.613, 1.491], [6.079, 1.846, 0.498], [7.130, 2.084, 2.810], [4.988, 1.789, 4.667], [2.855, 1.562, 3.174], [3.594, 1.472, 0.622], [-4.183, -1.084, 1.892], [-5.553, -1.189, 1.634], [-5.665, -1.851, 0.417], [-4.414, -1.808, -0.168], [-3.438, -1.506, 0.814], [-3.801, -0.707, 2.747], [-6.311, -0.984, 2.376], [-6.626, -2.014, -0.049], [-4.207, -2.086, -1.191], [-2.364, -1.460, 0.915], [1.879, -2.687, 1.588], [3.384, -3.447, 0.672], [4.461, -2.403, 0.730], [3.813, -4.574, 2.101], [1.507, -3.272, 2.429], [1.037, -2.699, 0.895], [2.177, -1.659, 1.793], [4.040, -3.831, 2.866], [4.782, -5.062, 1.992], [2.964, -5.221, 2.322], [3.586, 2.555, -1.884], [3.167, 0.771, -2.357], [1.734, 0.708, -2.817], [4.138, 0.571, -3.951], [2.685, 2.925, -1.394], [3.701, 3.185, -2.766], [4.454, 2.492, -1.227], [5.119, 1.033, -3.846], [3.640, 1.113, -4.755], [4.085, -0.448, -4.334], [-1.482, -3.635, -1.366], [-1.269, -5.432, -0.790], [-0.165, -5.419, 0.243], [-2.904, -5.619, 0.148], [-2.530, -3.395, -1.541], [-0.836, -3.342, -2.193], [-1.250, -3.077, -0.459], [-3.670, -6.046, -0.499], [-3.470, -4.783, 0.558], [-2.848, -6.343, 0.960], [-1.829, 6.216, -1.528], [-1.898, 4.393, -1.708], [-3.092, 4.092, -2.655], [-0.314, 4.174, -2.696], [-1.480, 6.722, -2.428], [-1.084, 6.515, -0.791], [-2.764, 6.538, -1.069], [-0.187, 4.917, -3.483], [-0.406, 3.157, -3.078], [0.614, 4.070, -2.133]]
}

---

(2)
{
  "formula": "C12H24FHfO12",
  "method": "ωB97M-V/def2-TZVPD",
  "fmax_ha_per_bohr": 0.2205,
  "e_lumo_ha": -0.469,
  "e_tot_ev": -41398.908,
  "total_charge": 3,
  "e_above_lowest_kcal_mol": 0.0,

Thanks to Arianna Tassinari for the precious advices and the support during the writing work.

Luca Mangiacotti is master student at the Faculty of Political Science and Sociology, Scuola Normale Superiore (Firenze) and UNPOP trainee at CES - Centre for Social Studies (Coimbra). He holds a bachelor’s degree in Political Science (University of Pisa), specialized in Political history and theory. He is currently enrolled in the master’s degree in Politics, Institutions and Markets at University of Florence. He also writes and shoots for DinamoPress – information website – about Indian politics and Italian labour mobilizations.